My son received the Kawani’s B.U.G award in school and this time, I was able to be present to support and honor him. It’s like a miracle that I know wouldn’t be a reality if it wasn’t for Persevere and Banyan Labs. Being there for my son is a dream come true I couldn’t be more grateful for second chance I’ve been given.
Someone pasted calculated crystals at this point.
- - -
(1)
Computed XRD peak list
Compound: Li2TlAsH
Radiation: λ = 1.5418 Å (Cu Kα)
Structure: a PBE-relaxed structure
Kinematic intensities with the Lorentz-polarization factor, no thermal factor.

Structure:
abc: 4.1900 4.1900 4.7156
angles: 90.00 90.00 90.00
Fractional coordinates of all 5 atoms:
Li  0.0000  0.5000  0.0000
Li  0.5000  0.0000  0.0000
Tl  0.0000  0.0000  0.5000
As  0.5000  0.5000  0.5000
H  0.0000  0.0000  0.0000

The 6 most intense peaks (5° ≤ 2θ ≤ 70°), most intense first:
2θ 18.82, I 100; 2θ 35.79, I 95; 2θ 30.16, I 66; 2θ 47.49, I 37; 2θ 49.40, I 34; 2θ 21.20, I 32



(2)
Computed XRD peak list
Compound: DyZrPd5
Radiation: λ = 1.5418 Å (Cu Kα)
Structure: a PBE-relaxed structure
Kinematic intensities with the Lorentz-polarization factor, no thermal factor.

Structure:
abc: 4.0402 4.0402 8.0531
angles: 90.00 90.00 90.00
Fractional coordinates of all 7 atoms:
Dy  0.0000  0.0000  0.0000
Zr  0.5000  0.5000  0.5000
Pd  0.0000  0.5000  0.2702
Pd  0.0000  0.5000  0.7298
Pd  0.5000  0.0000  0.2702
Pd  0.5000  0.0000  0.7298
Pd  0.5000  0.5000  0.0000

The 6 most intense peaks (5° ≤ 2θ ≤ 70°), most intense first:
2θ 38.64, I 100; 2θ 44.87, I 34; 2θ 65.45, I 19; 2θ 45.03, I 14; 2θ 33.28, I 13; 2θ 10.99, I 12



(3)
Computed XRD peak list
Compound: BrOF
Radiation: λ = 1.5418 Å (Cu Kα)
Structure: a PBE-relaxed structure
Kinematic intensities with the Lorentz-polarization factor, no thermal factor.

Structure:
abc: 5.6775 4.4123 9.8904
angles: 90.00 121.50 90.00
Fractional coordinates of all 12 atoms:
Br  0.2266  0.0122  0.2638
Br  0.2266  0.4878  0.7638
Br  0.7734  0.5122  0.2362
Br  0.7734  0.9878  0.7362
O  0.0682  0.1768  0.3582
O  0.0682  0.3232  0.8582
O  0.9318  0.6768  0.1418
O  0.9318  0.8232  0.6418
F  0.4570  0.6885  0.6385
F  0.4570  0.8115  0.1385
F  0.5430  0.1885  0.8615
F  0.5430  0.3115  0.3615

The 6 most intense peaks (5° ≤ 2θ ≤ 70°), most intense first:
2θ 21.07, I 100; 2θ 25.59, I 88; 2θ 32.75, I 74; 2θ 34.00, I 27; 2θ 52.55, I 26; 2θ 49.72, I 20



(4)
Computed XRD peak list
Compound: KSr2Se2O6
Radiation: λ = 1.5418 Å (Cu Kα)
Structure: a PBE-relaxed structure
Kinematic intensities with the Lorentz-polarization factor, no thermal factor.

Structure:
abc: 5.7955 6.4473 6.9670
angles: 96.88 105.00 110.73
Fractional coordinates of all 11 atoms:
K  0.0000  0.0000  0.0000
Sr  0.3211  0.6610  0.3332
Sr  0.6789  0.3390  0.6668
Se  0.4099  0.7434  0.8454
Se  0.5901  0.2566  0.1546
O  0.1099  0.6575  0.8875
O  0.3358  0.4960  0.6506
- - -
My name is Mark Clark and I am the Business Development Director for Banyan Labs. I was hired by Banyan Labs after being released from prison October 28th, 2021.
My 4.5 year sentence was (as you can imagine) one of the hardest and most painful experiences I have endured throughout my life. In the beginning of my sentence (and perhaps even before being arrested), I had officially given up on life. I parked, I checked out, I no longer believed in or valued myself. After a few months went by, I woke up one morning to a slip that requested me to be present at a meeting in our prison's town hall. On the top right of the slip, there was a word in large bold lettering. That word was "PERSEVERE". I read about the web development program and at the time, I was desperately in need of something to talk me off the ledge I was on.
I was accepted into the Persevere Web Development program and little did I know about how much my experience would impact my life. I began coding and started feeling like I was actually doing something of value with my time. I now had a goal, I had a plan, I had something that I could be proud of. More importantly, I was able to show my family that I had let down, that I was making an effort to change my life and make up for the mistakes I have made.
I graduated from the Coding program, I became a teacher's aide for the same coding program during my final year and when I was released, I was provided an opportunity to work with Banyan Labs. I now spend my time building partnerships with companies who will give second chances to our Web and Software developers. I am able to share my inspiration and help others coming from a similar painful path as mine. I couldn't be more grateful for the teams that contributed to saving my life and helping me redeem myself. Everyday is like a dream and I catch myself often teary eyed from the life changing moments I experience and kindness I am shown from the team at Banyan Labs and the partnered companies. I wouldn't change a single spec of my life and my experiences.
I know if it weren't for Banyan Labs and Persevere, there is a strong chance I would be back in the streets abusing drugs, back in prison or worse. This reality remains close to me everyday and it is like a miracle. I cannot thank Persevere and Banyan Labs enough. I am truly blessed.

"Without Persevere… I wouldn’t be where I am today. I would have some basic job that I probably hate, scraping by. I might start school…. If I had time or the money too. I definitely wouldn’t be where I am today."
Where to start my story with my experience with Persevere? My experience with Persevere was a serendipitous manifestation of my desire. I was working at ACI making $5.25 an hour, which is amazing money in prison. During my time there I had taken the lead on CAD design and running the automated saw, which was used to cut our house plans out into each piece. However, it was a pain to format csv files to import into the saw. Which lead me to teaching myself Visual Basic and using that to automate the csv formatting. I absolutely fell in love with coding and wanted to know more. I wished there was a program like the one I had seen on PBS called “The Last Mile”, where inmates were taught to code. I remember it clearly.
Entry 1:
# NaSm2InS5
Calculated XRD peak list, Cu Kα, 1.54184 Å. Input: a crystal structure in Alexandria, relaxed with PBE.
Lines closer than 0.1° are merged.

Atomic structure:
a = 8.671 Å, b = 8.671 Å, c = 11.900 Å
α = 90.00°, β = 90.00°, γ = 153.44°
Atoms (fractional coordinates):
Na  0.211  0.789  0.500
Na  0.789  0.211  0.000
Sm  0.119  0.881  0.174
Sm  0.141  0.859  0.794
Sm  0.859  0.141  0.294
Sm  0.881  0.119  0.674
In  0.452  0.548  0.950
In  0.548  0.452  0.450
S  0.046  0.954  0.571
S  0.288  0.712  0.168
S  0.321  0.679  0.834
S  0.370  0.630  0.493
S  0.491  0.509  0.262
S  0.509  0.491  0.762
S  0.630  0.370  0.993
S  0.679  0.321  0.334
S  0.712  0.288  0.668
S  0.954  0.046  0.071

The 12 most intense peaks (2θ from 10° to 90°), low angle first:
21.1°, intensity 23.4
24.8°, intensity 51.4
25.9°, intensity 24.0
27.5°, intensity 100.0
31.4°, intensity 17.4
32.3°, intensity 60.2
32.7°, intensity 37.8
38.1°, intensity 31.6
39.3°, intensity 22.4
41.8°, intensity 48.1
44.6°, intensity 23.7
45.6°, intensity 36.8

=====

Entry 2:
# NaInSn2S4
Calculated XRD peak list, Cu Kα, 1.54184 Å. Input: a crystal structure in Alexandria, relaxed with PBE.
Lines closer than 0.1° are merged.

Atomic structure:
a = 8.528 Å, b = 6.720 Å, c = 7.848 Å
α = 90.00°, β = 90.00°, γ = 90.00°
Atoms (fractional coordinates):
Na  0.000  0.229  0.000
Na  0.500  0.771  0.500
In  0.000  0.751  0.514
In  0.500  0.249  0.014
Sn  0.244  0.771  0.992
Sn  0.256  0.229  0.492
Sn  0.744  0.229  0.492
Sn  0.756  0.771  0.992
S  0.000  0.088  0.663
S  0.000  0.860  0.208
S  0.237  0.578  0.622
S  0.263  0.422  0.122
S  0.500  0.140  0.708
S  0.500  0.912  0.163
S  0.737  0.422  0.122
S  0.763  0.578  0.622

The 12 most intense peaks (2θ from 10° to 90°), low angle first:
15.3°, intensity 15.4
16.8°, intensity 16.8
22.7°, intensity 41.6
26.5°, intensity 23.9
27.3°, intensity 100.0
35.2°, intensity 30.2
42.4°, intensity 16.3
42.7°, intensity 45.8
47.3°, intensity 36.6
48.6°, intensity 10.8
54.1°, intensity 10.4
56.2°, intensity 15.4
Then Covid hit, not a month later, and within a month the company went out of business and maybe two weeks later there was a posting about Persevere. I knew I would be a part of it. And I was 1 of 17 people selected for the initial start of the program, out of 2000 people. It is absolutely incredible. I was in a medium custody level yard. Programs like this don’t come to medium yards. Yet, it came to mine and I was selected. If it had come even a couple weeks later. I would have been ineligible due to my release date. Everything happened perfectly.
I went in with the knowledge that I manifested this and I wasn’t going to waste it. I spent every moment of time studying and fell even more in love with coding. I loved the challenge. It was a puzzle and would consume me. I would write on my locker with dry erase markers to solve a challenge. I would study 4 to 6 hours beyond class time. I devoted myself to mastering it. I knew it was the career I wanted. Nothing would stop me. Yes, it was challenging, especially doing it in prison. Where we were limited on resources. We couldn’t hop on Google when we had a problem. We had to dig through README’s and any other doc we could find. But those things made me a better coder. I had to understand the code, not just be good at googling and copying code to solve a problem.
And now, I am a software engineer intern for one of the biggest background check companies in the world. I make over 100k a year as an intern and will be added as a full time software engineer in 6 weeks when my internship is up. Where I will make even more. Which has allowed me to not get a house but I am having one built. My wife will be able to go part time and go back to school as she wants. I have time to do things I love and then go to work from home at a job I love. I am also teaching my step kids how to code, while also having the time to actually spend time with them. I have the resources to do things with my family. It is because of Persevere being there and giving me the opportunity to learn the skills I now have, that all of this is possible.
Without Persevere… I wouldn’t be where I am today. I would have some basic job that I probably hate, scraping by. I might start school…. If I had time or the money too. I definitely wouldn’t be where I am today.